The following is a DFT calculation (wB97M-V/def2-TZVPD) of 13 unconnected molecules or ions with the total composition C40H113N7O13 at a distorted geometry.

Each line ends with the Löwdin charge.
Positions of all 173 atoms, in Å:
C (-2.729, -3.078, -0.269)  -0.09
C (-3.367, -3.584, -1.539)  -0.32
O (-3.286, -5.003, -1.580)  -0.08
H (-1.809, -3.574, 0.014)  0.06
H (-3.459, -3.087, 0.545)  0.08
H (-2.546, -2.004, -0.401)  0.05
H (-2.950, -3.192, -2.464)  0.10
H (-4.419, -3.283, -1.563)  0.10
H (-3.860, -5.388, -0.915)  0.08
C (2.606, 1.179, 3.045)  -0.08
C (3.514, 2.346, 3.386)  -0.30
O (3.278, 3.422, 2.473)  -0.10
H (1.584, 1.525, 2.851)  0.05
H (2.560, 0.448, 3.852)  0.08
H (2.937, 0.653, 2.147)  0.06
H (4.558, 2.024, 3.259)  0.11
H (3.381, 2.627, 4.438)  0.11
H (3.832, 4.170, 2.713)  0.09
C (-2.441, -4.830, 4.565)  -0.08
C (-2.309, -3.648, 3.627)  -0.33
O (-3.567, -2.978, 3.457)  -0.13
H (-2.573, -4.510, 5.597)  0.07
H (-1.504, -5.396, 4.502)  0.06
H (-3.260, -5.482, 4.268)  0.07
H (-1.943, -3.984, 2.641)  0.09
H (-1.582, -2.910, 3.997)  0.09
H (-3.326, -2.031, 3.241)  0.03
C (0.867, -4.662, 2.215)  -0.08
C (1.260, -3.804, 3.403)  -0.30
O (1.351, -4.626, 4.593)  -0.10
H (0.046, -5.315, 2.514)  0.07
H (1.706, -5.306, 1.943)  0.08
H (0.547, -4.046, 1.374)  0.05
H (0.584, -2.986, 3.617)  0.08
H (2.281, -3.413, 3.313)  0.10
H (1.914, -5.377, 4.381)  0.07
C (4.017, 0.895, -1.340)  -0.09
C (5.085, 1.349, -0.364)  -0.29
O (6.237, 1.801, -1.132)  -0.09
H (4.383, 0.087, -1.971)  0.08
H (3.742, 1.758, -1.943)  0.07
H (3.153, 0.589, -0.746)  0.06
H (5.455, 0.590, 0.342)  0.09
H (4.664, 2.185, 0.215)  0.10
H (6.870, 2.221, -0.544)  0.07
C (0.119, -1.081, 1.002)  -0.07
C (-0.002, 0.352, 0.575)  -0.31
O (-0.699, 1.113, 1.578)  -0.15
H (0.363, -1.710, 0.145)  0.05
H (-0.840, -1.367, 1.442)  0.06
H (0.872, -1.234, 1.780)  0.07
H (-0.577, 0.474, -0.352)  0.09
H (0.978, 0.821, 0.409)  0.10
H (-0.443, 2.055, 1.422)  0.03
C (1.184, -4.918, -1.980)  -0.07
C (0.883, -3.716, -2.855)  -0.44
C (0.360, -4.126, -4.201)  -0.19
O (0.184, -2.980, -5.011)  -0.22
C (-0.220, -3.231, -6.304)  -0.13
N (0.029, -2.776, -2.113)  0.09
H (1.205, -4.640, -0.932)  0.05
H (2.072, -5.473, -2.277)  0.08
H (0.340, -5.622, -2.061)  0.09
H (1.839, -3.194, -2.985)  0.12
H (-0.534, -4.765, -4.135)  0.14
H (1.145, -4.742, -4.685)  0.13
H (0.347, -4.074, -6.731)  0.09
H (0.057, -2.387, -6.941)  0.09
H (-1.292, -3.413, -6.417)  0.09
H (-0.157, -1.995, -2.761)  0.03
H (-0.914, -3.176, -2.050)  0.05
C (6.824, -3.054, 2.807)  -0.08
C (6.685, -2.891, 1.295)  -0.41
C (5.242, -2.936, 0.900)  -0.26
O (5.133, -2.799, -0.473)  -0.17
C (3.795, -2.643, -0.867)  -0.10
N (7.305, -1.555, 0.908)  0.05
H (7.853, -2.977, 3.152)  0.07
H (6.467, -4.040, 3.146)  0.08
H (6.229, -2.307, 3.339)  0.07
H (7.232, -3.720, 0.827)  0.14
H (4.669, -2.136, 1.398)  0.13
H (4.773, -3.876, 1.229)  0.13
H (3.365, -1.751, -0.370)  0.08
H (3.132, -3.488, -0.654)  0.08
H (3.763, -2.368, -1.922)  0.09
H (6.779, -1.197, 0.105)  0.05
H (8.231, -1.766, 0.541)  0.07
C (-3.870, -0.012, 5.209)  -0.05
C (-2.785, 0.444, 4.253)  -0.42
C (-1.405, 0.198, 4.817)  -0.22
O (-1.168, 1.127, 5.853)  -0.18
C (0.112, 0.960, 6.436)  -0.10
N (-2.911, -0.214, 2.947)  0.05
H (-3.858, -1.101, 5.304)  0.07
H (-4.846, 0.267, 4.802)  0.08
H (-3.736, 0.397, 6.207)  0.08
H (-2.888, 1.525, 4.080)  0.13
H (-0.647, 0.236, 4.009)  0.11
H (-1.324, -0.849, 5.180)  0.13
H (0.169, 1.536, 7.356)  0.09
H (0.887, 1.270, 5.725)  0.07
H (0.244, -0.093, 6.726)  0.09
H (-2.198, 0.128, 2.297)  0.04
H (-3.846, -0.049, 2.588)  0.09
C (-2.345, 5.135, -3.061)  -0.07
C (-1.282, 4.277, -2.422)  -0.42
C (0.004, 5.059, -2.150)  -0.20
O (0.998, 4.144, -1.691)  -0.22
C (2.210, 4.771, -1.377)  -0.13
N (-1.808, 3.783, -1.143)  0.06
H (-2.465, 6.132, -2.629)  0.08
H (-3.300, 4.610, -3.084)  0.08
H (-2.161, 5.331, -4.130)  0.08
H (-0.963, 3.455, -3.064)  0.12
H (-0.209, 5.834, -1.397)  0.12
H (0.371, 5.528, -3.080)  0.14
H (2.067, 5.806, -1.013)  0.09
Repeat the rows above from the line with "(-1.168, 1.127," to the end exactly.
O (-1.168, 1.127, 5.853)  -0.18
C (0.112, 0.960, 6.436)  -0.10
N (-2.911, -0.214, 2.947)  0.05
H (-3.858, -1.101, 5.304)  0.07
H (-4.846, 0.267, 4.802)  0.08
H (-3.736, 0.397, 6.207)  0.08
H (-2.888, 1.525, 4.080)  0.13
H (-0.647, 0.236, 4.009)  0.11
H (-1.324, -0.849, 5.180)  0.13
H (0.169, 1.536, 7.356)  0.09
H (0.887, 1.270, 5.725)  0.07
H (0.244, -0.093, 6.726)  0.09
H (-2.198, 0.128, 2.297)  0.04
H (-3.846, -0.049, 2.588)  0.09
C (-2.345, 5.135, -3.061)  -0.07
C (-1.282, 4.277, -2.422)  -0.42
C (0.004, 5.059, -2.150)  -0.20
O (0.998, 4.144, -1.691)  -0.22
C (2.210, 4.771, -1.377)  -0.13
N (-1.808, 3.783, -1.143)  0.06
H (-2.465, 6.132, -2.629)  0.08
H (-3.300, 4.610, -3.084)  0.08
H (-2.161, 5.331, -4.130)  0.08
H (-0.963, 3.455, -3.064)  0.12
H (-0.209, 5.834, -1.397)  0.12
H (0.371, 5.528, -3.080)  0.14
H (2.067, 5.806, -1.013)  0.09